**Data:**
[1]
Structure and calculated powder diffractogram of Pr2YErP4 (DFT lattice parameters and positions (GGA-PBE); λ = 1.5418 Å (Cu Kα)).
Kinematic intensities with the Lorentz-polarization factor, no thermal factor.

Crystal structure
abc: 7.0937 4.1019 7.1011
angles: 90.00 109.48 90.00
Fractional coordinates of all 8 atoms:
Pr 0.0000 0.0000 0.0000
Pr 0.0000 0.5000 0.5000
Y 0.5000 0.0000 0.5000
Er 0.5000 0.5000 0.0000
P 0.2621 0.5000 0.2527
P 0.2631 0.0000 0.7557
P 0.7369 0.0000 0.2443
P 0.7379 0.5000 0.7473

The 10 most intense peaks (5° ≤ 2θ ≤ 70°), sorted by position:
two_theta	I (rel.)
13.23	3
15.29	2
21.68	2
25.48	2
26.63	75
30.85	100
44.19	73
52.34	37
54.86	25
64.28	12

[2]
Structure and calculated powder diffractogram of La2Nd2Y4Er (DFT lattice parameters and positions (GGA-PBE); λ = 1.5418 Å (Cu Kα)).
Kinematic intensities with the Lorentz-polarization factor, no thermal factor.

Crystal structure
abc: 9.6628 9.6628 9.7253
angles: 115.21 115.21 21.86
Fractional coordinates of all 9 atoms:
La 0.1645 0.1645 0.9997
La 0.8355 0.8355 0.0003
Nd 0.3526 0.3526 0.3360
Nd 0.6474 0.6474 0.6640
Y 0.0201 0.0201 0.3325
Y 0.3151 0.3151 0.6635
Y 0.6849 0.6849 0.3365
Y 0.9799 0.9799 0.6675
Er 0.5000 0.5000 0.0000

The 10 most intense peaks (5° ≤ 2θ ≤ 70°), sorted by position:
two_theta	I (rel.)
28.38	46
30.61	49
31.35	100
33.01	90
39.51	17
49.90	24
53.78	21
57.01	19
59.56	14
59.69	28

[3]
Structure and calculated powder diffractogram of Sr2Al9Ag6 (DFT lattice parameters and positions (GGA-PBE); λ = 1.5418 Å (Cu Kα)).
Kinematic intensities with the Lorentz-polarization factor, no thermal factor.

Crystal structure
abc: 5.6055 5.6055 13.3613
angles: 90.00 90.00 120.00
Fractional coordinates of all 17 atoms:
Sr 0.0000 0.0000 0.1640
Sr 0.0000 0.0000 0.8360
Al 0.0000 0.5000 0.0000
Al 0.0000 0.5000 0.3367
Al 0.0000 0.5000 0.6633
Al 0.5000 0.0000 0.0000
Al 0.5000 0.0000 0.3367
Al 0.5000 0.0000 0.6633
Al 0.5000 0.5000 0.0000
Al 0.5000 0.5000 0.3367
Al 0.5000 0.5000 0.6633
Ag 0.3333 0.6667 0.1683
Ag 0.3333 0.6667 0.5000
Ag 0.3333 0.6667 0.8317
Ag 0.6667 0.3333 0.1683
Ag 0.6667 0.3333 0.5000
Ag 0.6667 0.3333 0.8317

The 10 most intense peaks (5° ≤ 2θ ≤ 70°), sorted by position:
two_theta	I (rel.)
18.28	23
19.94	36
31.93	55
37.93	100
40.51	19
42.41	13
52.48	26
56.90	10
60.91	24
66.75	12

[4]
Structure and calculated powder diffractogram of TbY3Cu2 (DFT lattice parameters and positions (GGA-PBE); λ = 1.5418 Å (Cu Kα)).
Kinematic intensities with the Lorentz-polarization factor, no thermal factor.

Crystal structure
abc: 4.9407 8.7396 6.9078
angles: 90.00 90.00 90.00
Fractional coordinates of all 12 atoms:
Tb 0.0000 0.0773 0.0000
Tb 0.0000 0.9227 0.5000
Y 0.0000 0.3353 0.6282
Y 0.0000 0.6647 0.1282
Y 0.5000 0.1628 0.3426
Y 0.5000 0.4247 0.9710
Y 0.5000 0.5753 0.4710
Y 0.5000 0.8372 0.8426
Cu 0.0000 0.3478 0.2244
Cu 0.0000 0.6522 0.7244
Cu 0.5000 0.1531 0.7468
Cu 0.5000 0.8469 0.2468

The 10 most intense peaks (5° ≤ 2θ ≤ 70°), sorted by position:
two_theta	I (rel.)
30.21	100
31.61	32
33.06	19
33.27	90
33.38	26
35.78	44
36.37	57
40.51	24
55.56	18
61.44	17

[5]
Structure and calculated powder diffractogram of Pm3Tm4Sc5 (DFT lattice parameters and positions (GGA-PBE); λ = 1.5418 Å (Cu Kα)).
Kinematic intensities with the Lorentz-polarization factor, no thermal factor.

Crystal structure
abc: 8.1578 8.1578 9.3480
angles: 118.33 118.33 40.76
Fractional coordinates of all 12 atoms:
Pm 0.0000 0.0000 0.0000
Pm 0.2658 0.2658 0.7303
Pm 0.7342 0.7342 0.2697
Tm 0.2966 0.2966 0.1202
Tm 0.4149 0.4149 0.5575
Tm 0.5851 0.5851 0.4425
Tm 0.7034 0.7034 0.8798
Sc 0.0582 0.0582 0.6976
Sc 0.1661 0.1661 0.3537
Sc 0.5000 0.5000 0.0000
Sc 0.8339 0.8339 0.6463
Sc 0.9418 0.9418 0.3024

The 10 most intense peaks (5° ≤ 2θ ≤ 70°), sorted by position:
two_theta	I (rel.)
23.43	43
30.47	46
30.62	46
31.32	53
31.49	100
32.97	58
33.65	57
33.83	68
34.34	62
45.01	39

[6]

**What to do:**
The reader should start at the top of the lines above and give back each line, ending with the one that has "52.48".

**Worked solution:**
[1]
Structure and calculated powder diffractogram of Pr2YErP4 (DFT lattice parameters and positions (GGA-PBE); λ = 1.5418 Å (Cu Kα)).
Kinematic intensities with the Lorentz-polarization factor, no thermal factor.

Crystal structure
abc: 7.0937 4.1019 7.1011
angles: 90.00 109.48 90.00
Fractional coordinates of all 8 atoms:
Pr 0.0000 0.0000 0.0000
Pr 0.0000 0.5000 0.5000
Y 0.5000 0.0000 0.5000
Er 0.5000 0.5000 0.0000
P 0.2621 0.5000 0.2527
P 0.2631 0.0000 0.7557
P 0.7369 0.0000 0.2443
P 0.7379 0.5000 0.7473

The 10 most intense peaks (5° ≤ 2θ ≤ 70°), sorted by position:
two_theta	I (rel.)
13.23	3
15.29	2
21.68	2
25.48	2
26.63	75
30.85	100
44.19	73
52.34	37
54.86	25
64.28	12

[2]
Structure and calculated powder diffractogram of La2Nd2Y4Er (DFT lattice parameters and positions (GGA-PBE); λ = 1.5418 Å (Cu Kα)).
Kinematic intensities with the Lorentz-polarization factor, no thermal factor.

Crystal structure
abc: 9.6628 9.6628 9.7253
angles: 115.21 115.21 21.86
Fractional coordinates of all 9 atoms:
La 0.1645 0.1645 0.9997
La 0.8355 0.8355 0.0003
Nd 0.3526 0.3526 0.3360
Nd 0.6474 0.6474 0.6640
Y 0.0201 0.0201 0.3325
Y 0.3151 0.3151 0.6635
Y 0.6849 0.6849 0.3365
Y 0.9799 0.9799 0.6675
Er 0.5000 0.5000 0.0000

The 10 most intense peaks (5° ≤ 2θ ≤ 70°), sorted by position:
two_theta	I (rel.)
28.38	46
30.61	49
31.35	100
33.01	90
39.51	17
49.90	24
53.78	21
57.01	19
59.56	14
59.69	28

[3]
Structure and calculated powder diffractogram of Sr2Al9Ag6 (DFT lattice parameters and positions (GGA-PBE); λ = 1.5418 Å (Cu Kα)).
Kinematic intensities with the Lorentz-polarization factor, no thermal factor.

Crystal structure
abc: 5.6055 5.6055 13.3613
angles: 90.00 90.00 120.00
Fractional coordinates of all 17 atoms:
Sr 0.0000 0.0000 0.1640
Sr 0.0000 0.0000 0.8360
Al 0.0000 0.5000 0.0000
Al 0.0000 0.5000 0.3367
Al 0.0000 0.5000 0.6633
Al 0.5000 0.0000 0.0000
Al 0.5000 0.0000 0.3367
Al 0.5000 0.0000 0.6633
Al 0.5000 0.5000 0.0000
Al 0.5000 0.5000 0.3367
Al 0.5000 0.5000 0.6633
Ag 0.3333 0.6667 0.1683
Ag 0.3333 0.6667 0.5000
Ag 0.3333 0.6667 0.8317
Ag 0.6667 0.3333 0.1683
Ag 0.6667 0.3333 0.5000
Ag 0.6667 0.3333 0.8317

The 10 most intense peaks (5° ≤ 2θ ≤ 70°), sorted by position:
two_theta	I (rel.)
18.28	23
19.94	36
31.93	55
37.93	100
40.51	19
42.41	13
52.48	26